In the fifth episode of "Star Wars: Tales of the Empire," titled "Realization," we embark on Barriss Offee's inaugural mission as an Inquisitor, a venture that pushes the boundaries of her resolve and confronts her with the unforgiving realities of her new existence within the Empire's rigid hierarchy. Despite its somewhat predictable climax, this episode delivers a profoundly engaging portrayal of Offee's internal turmoil and the moral labyrinth she navigates under the Empire's omnipresent shadow.
Records of crystals, as found in the file:
- - -
1.
Material: CaGa2Rh2
Method: DFT, GGA-PBE
State: optimized geometry

It has space group P4/mbm (No. 127), with a = 7.476 Å, b = 7.476 Å, c = 2.970 Å, α = 90.00°, β = 90.00° and γ = 90.00°. The asymmetric unit holds Ca at (0.000, 0.000, 0.000), Ga at (0.146, 0.354, 0.500) and Rh at (0.147, 0.647, 0.000).

For the density, the calculation gives 7.7 Mg/m³. As for the density of states at the Fermi level: 2.922 states/eV/cell. Its magnetization is 0.00 μB/atom. Its crystal system is tetragonal. The energy comes out at -5.20 eV per atom.


2.
Material: Rb2USbO6
Method: DFT, GGA-PBE
State: optimized geometry

It has space group Fm-3m (No. 225), with a = 8.436 Å, b = 8.436 Å, c = 8.436 Å, α = 90.00°, β = 90.00° and γ = 90.00°. The asymmetric unit holds Rb at (0.250, 0.250, 0.250), U at (0.000, 0.000, 0.000), Sb at (0.000, 0.000, 0.500) and O at (0.000, 0.000, 0.258).

For the density, the calculation gives 6.9 Mg/m³. As for the uncorrected formation energy: -2.21 eV per atom. As for the density of states at the Fermi level: 9.261 states/eV/cell. Its magnetization is 0.10 μB/atom. Its crystal system is cubic.


3.
Material: AcTl2ReO8
Method: DFT, GGA-PBE
State: optimized geometry

It has space group P-1 (No. 2), with a = 5.203 Å, b = 5.212 Å, c = 7.058 Å, α = 85.35°, β = 85.40° and γ = 89.00°. The asymmetric unit holds Ac at (0.000, 0.000, 0.000), Tl at (0.466, 0.466, 0.249), Re at (0.000, 0.000, 0.500), O at (0.170, 0.815, 0.695), O at (0.187, 0.831, 0.306), O at (0.263, 0.265, 0.489) and O at (0.320, 0.320, 0.976).

For the density, the calculation gives 8.3 Mg/m³. As for the uncorrected formation energy: -1.50 eV per atom. Its magnetization is 0.00 μB/atom. Its crystal system is triclinic.


4.
Material: SmNpC
Method: DFT, GGA-PBE
State: optimized geometry

It has space group I4mm (No. 107), with a = 3.162 Å, b = 3.162 Å, c = 11.810 Å, α = 90.00°, β = 90.00° and γ = 90.00°. The asymmetric unit holds Sm at (0.000, 0.000, 0.000), Np at (0.000, 0.000, 0.761) and C at (0.000, 0.000, 0.355).

For the density, the calculation gives 11.2 Mg/m³. The calculation puts the energy relative to the lowest polymorph listed for this composition at 0.315 eV/atom. As for the density of states at the Fermi level: 11.999 states/eV/cell. Its magnetization is 1.23 μB/atom. Its crystal system is tetragonal.


5.
Material: Ho4C5
Method: DFT, GGA-PBE
State: optimized geometry

It has space group Pbam (No. 55), with a = 6.550 Å, b = 11.914 Å, c = 3.646 Å, α = 90.00°, β = 90.00° and γ = 90.00°. The asymmetric unit holds Ho at (0.108, 0.195, 0.000), Ho at (0.244, 0.957, 0.500), C at (0.000, 0.000, 0.000), C at (0.097, 0.655, 0.500) and C at (0.137, 0.765, 0.500).

For the density, the calculation gives 8.4 Mg/m³. As for the density of states at the Fermi level: 7.091 states/eV/cell. Its magnetization is 0.00 μB/atom. Its crystal system is orthorhombic. The energy comes out at -7.50 eV per atom.


6.
Material: CdBrO2F
Method: DFT, GGA-PBE
State: optimized geometry
- - -
The narrative unfolds as Offee and the Fourth Sister traverse hyperspace to a war-ravaged planet, whispered to harbor a lone Jedi survivor. The planet's desolate landscape, a probable scar left by the Clone Wars, serves as a somber backdrop, setting the melancholic tone for the episode. The inhabitants, living in abject fear and squalor, stand as living testimonies to the Emperor's utter disregard for the plight of his subjects.
Offee's discomfort with the Empire's ruthless tactics is palpable from the moment they set foot on the planet. She challenges the Fourth Sister's unwavering faith in Imperial intelligence and lambasts the Emperor's callous disregard for the populace's welfare. The Fourth Sister's icy retort—that unwavering loyalty to the Empire will herald prosperity—underscores the chasm between their ideological stances.
As they venture into a town square, the Fourth Sister's brute-force approach to extracting information about the Jedi's whereabouts prompts defiance from the locals. In a poignant moment of empathy, Offee removes her helmet, revealing her face to a terrified child, a gesture that highlights her enduring humanity. Trusting Offee, the child divulges the Jedi's hiding spot, but at an excruciating expense.
The Fourth Sister's fury, denied the satisfaction of capturing the Jedi, unleashed a brutal massacre, a harrowing spectacle that compelled Offee to rescue a solitary child, starkly highlighting the vast divide between her own values and those of the Empire. Her subsequent confrontation with the Fourth Sister, where she denounced the senseless violence, served as an ominous prelude to the conflicts that would soon unfold.
The perilous ascent up a treacherous cliff mirrored Offee's moral climb, as she warned the Fourth Sister of an impending rockfall, yet was abandoned by her supposed comrade when disaster struck. This betrayal at the hands of her alleged ally was an unequivocal revelation of the Empire's true, ruthless nature.
At the cliff's summit, Offee intervened in the duel between the Fourth Sister and the Jedi, not to deliver a decisive blow but to extend a hand of surrender. Her earnest plea to the Jedi to lay down their arms echoed her own fervent wish to bring an end to the vicious cycle of violence. The Jedi's surrender briefly ignited a spark of hope, yet this fleeting moment was brutally extinguished by the Fourth Sister's ruthless demeanor.
'''
First-principles (PBE+U) data for an optimized crystal structure of Na2MnFeF6, as listed in Alexandria via LeMat-Bulk.

Properties
E = -5.340 eV per atom

Cell lengths 5.717, 5.722, 5.741 Å; angles 60.37, 61.11, 60.09 degrees
Space group P-1 (No. 2)
Inequivalent atoms, fractional coordinates:
Na (0.225, 0.219, 0.332)
Mn (0.500, 0.500, 0.500)
Fe (0.000, 0.000, 0.000)
F (0.144, 0.766, 0.735)
F (0.233, 0.649, 0.253)
F (0.354, 0.144, 0.736)
'''
Offee's final act of defiance—shoving the Fourth Sister off the cliff and casting aside her Inquisitor helmet—was a symbolic liberation from her chains, a bold declaration that she could not tolerate the Empire's cruelty any longer. Her return to the dying Jedi, vowing to save her, was a poignant moment of redemption, a radiant beacon of hope in the midst of a dark and oppressive galaxy.
"Realization" is an episode that, while perhaps not groundbreaking in its conclusion, offers a profoundly impactful character study of Barriss Offee. It is a narrative of moral awakening, a reminder that even in the darkest of times, there are those who choose to rise against injustice. Offee's journey stands as a testament to the indomitable spirit and the enduring strength of compassion in the face of tyranny.